A couple of weeks ago I needed to parse the gmail contacts of my local magician’s club (GMK – Göteborgs Magiska Klubb) of which I belong to. My task was to create a neat list of names along with their aliases.
Simple enough, right? Nah, nothing can be just simple, we all know that. However, it’s not an impossible mission, but harder than it should be. Let me explain:
The reason it was more difficult that it has to be, is that the data probably was imported from another email client at some point in time. The data was jumbled, contained weird characters and duplicate names, making a parsing and filtering necessary. There were over 100 entries, so I had to do this using a script. My solution is OK, but not perfect. There were some entries that I manually corrected, because there were so few of them.
So, in this post I will describe which steps I had to take to create my list.
Exporting the contacts
The first thing I did was to export the gmail contact list to an Excel file. In “Open Office” Calc I exported the list to a CSV file, because Matlab has a nice import function called xlsread, which just seemed to fit my needs.
When importing the data from CSV, we are getting the information stored in a cell. It is very simple to extract this data, but I did encounter some issues. One of the issues was that the columns of excel contained repeated strings of the contact’s names. The family names, aliases surnames etc. were also jumbled up for some reason.
To import the CSV file I just run:
[num_data text_data] = xlsread(filename);
We can look at the first row to see what the columns mean:
>> {text_data{1,:}}’
## These calculated crystals were left in the entry by mistake
## LuCrO3 (PBE+U)

Data for LuCrO3 after structural relaxation.

Cell: 5.551 7.581 5.213 Å, 90.00 90.00 90.00°
Space group Pnma (No. 62)
Inequivalent atoms, fractional coordinates:
Lu  0.072  0.250  0.022 x4
Cr  0.000  0.000  0.500 x4
O  0.050  0.750  0.374 x4
O  0.193  0.564  0.812 x8

Results
DFT total energy (eV per formula unit): -41.1

=====

Record 1
## YBiTeO6 (PBE)

Data for a relaxed YBiTeO6 crystal.

Geometry as POSCAR:
```
YBiTeO6
1.0
5.645 0.000 0.000
-2.822 4.889 0.000
0.000 0.000 9.603
Y Bi Te O
2 2 2 12
Cartesian
0.000 3.259 2.401 Y
2.822 1.630 7.202 Y
0.000 0.000 0.000 Bi
0.000 0.000 4.802 Bi
0.000 3.259 7.202 Te
2.822 1.630 2.401 Te
-0.835 1.857 6.110 O
-1.632 3.237 8.295 O
0.835 1.857 8.295 O
-0.797 4.683 6.110 O
2.026 0.205 1.308 O
1.191 1.652 3.493 O
1.632 3.237 6.110 O
0.797 4.683 8.295 O
3.619 0.205 3.493 O
1.988 3.032 1.308 O
4.454 1.652 1.308 O
3.657 3.032 3.493 O
```

Summary:
SG ... P-31c

---

Record 2
## YBi2TeO8 (PBE)

Data for a relaxed YBi2TeO8 crystal.

Geometry as POSCAR:
```
YBi2TeO8
1.0
3.633 -3.638 0.000
3.633 3.638 0.000
0.000 0.000 6.890
Y Bi Te O
1 2 1 8
Cartesian
0.000 0.000 0.000 Y
3.633 0.000 1.745 Bi
3.633 0.000 5.145 Bi
0.000 0.000 3.445 Te
1.297 0.000 1.940 O
1.297 0.000 4.949 O
3.633 1.689 3.445 O
3.633 1.380 0.000 O
3.633 -1.380 0.000 O
3.633 -1.689 3.445 O
5.969 0.000 1.940 O
5.969 0.000 4.949 O
```

Summary:
SG ... Cmmm

---

Record 3
## YBi2TeO4 (PBE)

Data for a relaxed YBi2TeO4 crystal.

Geometry as POSCAR:
```
YBi2TeO4
1.0
3.890 0.000 0.000
0.000 3.890 0.000
0.000 0.000 10.163
Y Bi Te O
1 2 1 4
Cartesian
0.000 0.000 0.000 Y
1.945 1.945 2.526 Bi
1.945 1.945 7.637 Bi
0.000 0.000 5.082 Te
0.000 1.945 1.394 O
0.000 1.945 8.769 O
1.945 0.000 1.394 O
1.945 0.000 8.769 O
```

Summary:
SG ... P4/mmm

---

Record 4
## Zn2BiTeO6 (PBE)

Data for a relaxed Zn2BiTeO6 crystal.

Geometry as POSCAR:
```
Zn2BiTeO6
1.0
4.921 -5.052 0.000
4.921 5.052 0.000
-0.694 0.000 5.728
Zn Bi Te O
4 2 2 12
Cartesian
1.574 0.931 1.796 Zn
1.227 -0.931 4.660 Zn
7.921 0.931 1.068 Zn
7.575 -0.931 3.932 Zn
4.401 1.079 4.296 Bi
4.748 -1.079 1.432 Bi
4.748 2.919 1.432 Te
4.401 -2.919 4.296 Te
0.887 0.788 3.684 O
3.275 2.736 5.226 O
1.234 -0.788 0.820 O
3.498 1.315 2.131 O
5.526 2.736 3.366 O
5.997 1.315 0.733 O
3.152 -1.315 4.995 O
3.622 -2.736 2.362 O
5.650 -1.315 3.597 O
7.915 0.788 4.908 O
5.873 -2.736 0.502 O
8.261 -0.788 2.044 O
```

Summary:
SG ... C2/c

---

Record 5
## ZnBiTe2O8 (PBE)

Data for a relaxed ZnBiTe2O8 crystal.

Geometry as POSCAR:
```
ZnBiTe2O8
1.0
-3.663 3.663 3.414
3.663 -3.663 3.414
3.663 3.663 -3.414
Zn Bi Te O
1 1 2 8
Cartesian
0.000 0.000 0.000 Zn
0.000 3.663 1.707 Bi
3.663 0.000 1.707 Te
0.000 0.000 3.414 Te
2.232 0.000 0.457 O
5.095 0.000 0.457 O
3.663 2.310 -1.305 O
3.663 -1.432 2.957 O
0.000 1.353 2.110 O
3.663 1.432 2.957 O
2.310 3.663 1.305 O
1.353 0.000 4.719 O
```

Summary:
SG ... I-4m2

---

Record 6
## Zn2BiTeO8 (PBE)

Data for a relaxed Zn2BiTeO8 crystal.

Geometry as POSCAR:
```
Zn2BiTeO8
1.0
## So much for the calculated crystals
ans =
Ok, so there are a lot of nonsense in the csv that we do not need. We can get the first names in a column. For instance, your list may look like:
‘David Copperfield’
‘Dai “the Professor” Vernon’
‘Lennart Green’
As you can see, Dai Vernon has the alias “the professor”, so we should take care of this case because I noticed that each of these entries, with aliases, contains extra names distributed over the first 6 columns. I knew some of the aliases/”stage names”, but not their real names. At this point I think about the Tom Cruise movie “Mission Impossible” (1996) and the “NOC list” (Non-Official Cover). I actually like that movie. If you remember, if the NOC list fell into the wrong hands, then the lives of all the agents would be in danger. As for my list, it doesn’t matter, but instead of showing the real members I had Lennart Green (actual member) and also added Dai Vernon and David Copperfield, even though they have never been members of the club, at least not that I’m aware of.
Two simple rules
For instance, the names could be spread out in the csv entries like this:
{David “David Copperfield” Kotkin, David, Kotkin}
{David, “David, Copperfield”, Kotkin, David, Copperfield}
{David, Kotkin, David, Kotkin}
In the example above we see duplicate names, full name in the first entry and a case where the name is just repeated in several columns.
I realized that we have in reality two cases:
1. If the first column contains a quotation mark, we only use that entry
2. Else, we have to use the other entries and remove duplicates
So, to see if the first entry contains quotation marks I use findstr and check the resulting vector’s length. I also have to reverse the order of the data, because I start with the last name and alias and end with first name. This is just the way I wanted my list. In the following code I define fstcolumn as the cell of the first column of text_data. The code is inside a for loop increasing the variable i for all entries.
if length(findstr(fstcolumn{i}, '"')) >= 2
tmp = strsplit(text_data{i,1}, '"');
tmp = tmp(3:-1:1);
tmp{2,1} = ' "';
tmp{2,2} = '" ';
For the rule 2 -the “else” part- I simply pick the other columns and remove the duplicates. It is important to keep the order of the filtered names, I used the argument ‘stable’ (see line 11). I also add spaces between all the entries (line 13) and collapse the cell into a vector. Many entries contained duplicate names.
else %We pick out first name, second and alias
tmp = {text_data{i, 2:6}};
-- Next to the entry, the page also holds calculated crystals --
********
The following is a GGA-PBE calculation of crystalline NpTl2Br6 at its relaxed geometry, from Alexandria via LeMat-Bulk.

Cell lengths 7.4164, 7.4164, 14.0472 Å; angles 90.00, 90.00, 90.00 degrees
Space group P4_2/mnm (No. 136)
One atom of each set of equivalent atoms:
Np: 0.0000 0.0000 0.0000
Tl: 0.0000 0.0000 0.3336
Br: 0.1830 0.1830 0.1439
Br: 0.2356 0.2356 0.5000

Calculated values
The volume is 42.92 A^3/atom. As for the spin magnetization: 0.333 μB/atom. The calculation puts the energy at -4.172 eV per atom. The energy above the lowest structure with this stoichiometry is 0.18 eV per formula unit. The value obtained for the formation energy without anion corrections is -1093 meV per atom.

* * * * *

DFT (GGA-PBE) results for a relaxed PdPt6Rh3 crystal.

a = 5.009 Å, b = 8.318 Å, c = 8.318 Å
α = 112.57°, β = 90.00°, γ = 90.00°
Fractional positions:
Pt1 0.376 0.040 0.463
Pt2 0.112 0.819 0.181
Pt3 0.182 0.599 0.693
Pt4 0.682 0.693 0.599
Pt5 0.941 0.030 0.970
Pt6 0.182 0.307 0.401
Pt7 0.612 0.181 0.819
Pt8 0.876 0.463 0.040
Pt9 0.441 0.970 0.030
Pt10 0.876 0.960 0.537
Pt11 0.682 0.401 0.307
Pt12 0.376 0.537 0.960
Pd1 0.108 0.271 0.729
Pd2 0.608 0.729 0.271
Rh1 0.783 0.091 0.297
Rh2 0.142 0.622 0.378
Rh3 0.283 0.297 0.091
Rh4 0.642 0.378 0.622
Rh5 0.783 0.703 0.909
Rh6 0.283 0.909 0.703

Results
The space group is No. 36. The formation energy from the elements is 2.08 eV per formula unit.


DFT (GGA-PBE) results for a relaxed PdPt8Rh4 crystal.

a = 3.916 Å, b = 4.816 Å, c = 12.758 Å
α = 63.82°, β = 81.17°, γ = 65.96°
Fractional positions:
Pt1 0.976 0.468 0.581
Pt2 0.283 0.776 0.658
Pt3 0.441 0.922 0.197
Pt4 0.056 0.535 0.353
Pt5 0.823 0.310 0.044
Pt6 0.591 0.082 0.736
Pt7 0.208 0.693 0.890
Pt8 0.748 0.228 0.276
Rh1 0.670 0.156 0.504
Rh2 0.133 0.612 0.122
Rh3 0.362 0.847 0.430
Rh4 0.899 0.391 0.811
Pd1 0.516 0.002 0.967

Results
The space group is No. 12. The formation energy from the elements is -0.28 eV per formula unit.


DFT (GGA-PBE) results for a relaxed Pd6PtRh crystal.

a = 5.245 Å, b = 5.245 Å, c = 7.397 Å
α = 69.23°, β = 69.23°, γ = 60.00°
Each line ends with the local moment (μB).
Fractional positions:
Pd1 0.934 0.934 0.693  0.15
Pd2 0.066 0.066 0.307  0.15
Pd3 0.934 0.440 0.693  0.15
Pd4 0.066 0.560 0.307  0.15
Pd5 0.560 0.066 0.307  0.15
Pd6 0.440 0.934 0.693  0.15
Pt1 0.000 0.000 0.000  0.06
Rh1 0.500 0.500 0.500  1.28

Results
The space group is No. 166. Its energy above the lowest structure with this stoichiometry is 547 meV/atom. The formation energy from the elements is 4.59 eV per formula unit.


DFT (GGA-PBE) results for a relaxed PdPt4Rh3 crystal.

a = 3.914 Å, b = 3.914 Å, c = 9.992 Å
α = 125.90°, β = 101.29°, γ = 90.00°
Fractional positions:
Pd1 0.500 0.000 0.000
Pt1 0.873 0.619 0.746
Pt2 0.127 0.381 0.254
Pt3 0.627 0.880 0.253
Pt4 0.373 0.120 0.747
Rh1 0.000 0.500 0.000
Rh2 0.249 0.248 0.499
Rh3 0.751 0.752 0.501

Results
********
[u, v] = unique(tmp,'stable'); %remove duplicates, keep the order
tmp2 = tmp(v); %pick out the unique names
-- Calculated crystals, as found in the file --
-- begin --
Entry from the Alexandria database: a relaxed TaCr3F crystal (PBEsol).

abc: 4.7315 4.7315 4.7315
angles: 90.00 90.00 90.00
Fractional coordinates of all 5 atoms:
Ta: 0.0000 0.0000 0.0000
Cr: 0.0000 0.0000 0.5000
Cr: 0.0000 0.5000 0.0000
Cr: 0.5000 0.0000 0.0000
F: 0.5000 0.5000 0.5000

## Properties
- Raw total energy: -36.622 eV/cell
- Size of the total moment: 10.33 μB per formula unit
- Distance to the lowest polymorph of the same formula: 1371 meV per atom
- E_form (uncorrected): 1.72 eV per atom
- Space group: Pm-3m
- Density of states at the Fermi level: 6.455 states/eV per cell

* * * * *

Tm5NiRu4 | PBE-GGA | relaxed

a = 3.367 Å, b = 3.367 Å, c = 16.595 Å
α = 90.00°, β = 90.00°, γ = 90.00°
Fractional coordinates of all 10 atoms:
1 Tm 0.500 0.500 0.100
2 Tm 0.500 0.500 0.900
3 Tm 0.500 0.500 0.701
4 Tm 0.500 0.500 0.500
5 Tm 0.500 0.500 0.299
6 Ru 0.000 0.000 0.195
7 Ru 0.000 0.000 0.399
8 Ru 0.000 0.000 0.805
9 Ru 0.000 0.000 0.601
10 Ni 0.000 0.000 0.000

Summary:
The energy relative to the elements is -44.4 kJ per mole of atoms. The total energy comes out at -6.985 eV per atom.


Tm5Ni4Ru | PBE-GGA | relaxed

a = 3.336 Å, b = 3.336 Å, c = 16.653 Å
α = 90.00°, β = 90.00°, γ = 90.00°
Fractional coordinates of all 10 atoms:
1 Tm 0.500 0.500 0.699
2 Tm 0.500 0.500 0.500
3 Tm 0.500 0.500 0.901
4 Tm 0.500 0.500 0.301
5 Tm 0.500 0.500 0.099
6 Ni 0.000 0.000 0.798
7 Ni 0.000 0.000 0.400
8 Ni 0.000 0.000 0.600
9 Ni 0.000 0.000 0.202
10 Ru 0.000 0.000 0.000

Summary:
The energy relative to the elements is -45.6 kJ per mole of atoms. The total energy comes out at -5.948 eV per atom.


Tm4Ni3Ru | PBE-GGA | relaxed

a = 4.720 Å, b = 6.666 Å, c = 9.443 Å
α = 90.00°, β = 90.00°, γ = 90.00°
Fractional coordinates of all 16 atoms:
1 Ni 0.000 0.000 0.500
2 Ni 0.500 0.000 0.250
3 Ni 0.500 0.500 0.750
4 Ni 0.000 0.000 0.000
5 Ni 0.500 0.000 0.750
6 Ni 0.500 0.500 0.250
7 Tm 0.500 0.250 0.500
8 Tm 0.500 0.250 0.000
9 Tm 0.000 0.750 0.750
10 Tm 0.000 0.750 0.250
11 Tm 0.000 0.250 0.750
12 Tm 0.000 0.250 0.250
13 Tm 0.500 0.750 0.000
14 Tm 0.500 0.750 0.500
15 Ru 0.000 0.500 0.000
16 Ru 0.000 0.500 0.500

Summary:
The energy relative to the elements is -44.4 kJ per mole of atoms. The total energy comes out at -6.023 eV per atom.


Tm3NiRu | PBE-GGA | relaxed

a = 4.211 Å, b = 5.954 Å, c = 8.643 Å
α = 89.73°, β = 90.00°, γ = 89.99°
Fractional coordinates of all 10 atoms:
1 Tm 0.250 0.760 0.552
2 Tm 0.750 0.241 0.053
3 Tm 0.250 0.254 0.750
4 Tm 0.750 0.240 0.448
5 Tm 0.750 0.746 0.250
6 Tm 0.250 0.759 0.947
7 Ni 0.250 0.468 0.250
8 Ni 0.750 0.532 0.750
9 Ru 0.250 0.047 0.250
10 Ru 0.750 0.953 0.750

Summary:
The energy relative to the elements is -38.3 kJ per mole of atoms. The total energy comes out at -6.092 eV per atom.


Tm8NiRu2 | PBE-GGA | relaxed

a = 4.772 Å, b = 6.758 Å, c = 8.901 Å
α = 107.19°, β = 105.55°, γ = 90.00°
Fractional coordinates of all 11 atoms:
1 Tm 0.667 0.963 0.335
2 Tm 0.404 0.546 0.808
3 Tm 0.969 0.210 0.938
4 Tm 0.795 0.687 0.591
-- stop --
tmp2(2, :) = {' '}; %Marble with spaces
tmp2 = [tmp2{:}]; %collapse to vector
I print the list in the standard output and copy it to OpenOffice for post processing. I will talk about that in another post. Actually, in the real CSV, there are other quotation marks like both ” and the special ”, so I have to take care of that as well.
By the way, had Tom Cruise been a magician, what would he call himself?
In conclusion, the solution above is not perfect, but it should help you on your way.